The Aluminum Foil Hack For Mess-Free Ice Cream Experiences

Just as peanut butter goes with jelly and wine goes with cheese, ice cream and waffle cones just seem to fit together. Who doesn't enjoy an ice-cold scoop of ice cream, followed by the sugar-coated coat that's covered in sweet sticky ice cream residue? It's pretty much two treats in one! There's even a wide variety of ways you can make that waffle cone taste even better.

But as anyone who's ever enjoyed an ice cream cone before can tell you, the absolute second that scoop of ice cream hits your cone, you better start eating it, or else risk getting your hands, face, and pretty much anything you're wearing covered in melting ice cream. There are many suggestions on how to keep your ice cream from melting in your hand. TODAY, for example, suggests filling the interior of the cone with miniature marshmallows to help absorb any melting ice cream from dripping out, while Modernist Pantry recommends adding an additive by the name of "Polysorbate 80" that can help the ice cream maintain its shape for just a little longer. The truth, however, is that you can't stop your ice cream from melting — ice cream melts, that's what it's supposed to do.

Instead of focusing on trying to keep your ice cream from melting, maybe there's a way you can prevent it from making a mess, even when it does melt.

_Inserted here: molecular data_
~~~
Version i
The following is a quantum chemistry calculation of a 2-piece molecular cluster, CH3O3 overall, from the OMol25 dataset.

The geometry in ORCA input format:
```
! RIJCOSX wB97M-V def2-TZVPD def2/J DEFGRID3
* xyz -1 1
H -1.56115 -0.13587 -1.10987
C 0.55127 0.04863 1.00489
O 0.91789 0.19727 -0.18594
H -0.01851 0.02610 -1.24659
O 0.67928 1.03070 1.85820
H 0.25394 -0.93929 1.43305
O -0.82271 -0.22754 -1.75374
*
```

Lowest unoccupied orbital energy (eV): 4.586
Frontier orbital gap (eV): 8.81

=====

Version ii
The following is a quantum chemistry calculation of a 2-piece molecular cluster, CH3O3 overall, from the OMol25 dataset.

The geometry in ORCA input format:
```
! RIJCOSX wB97M-V def2-TZVPD def2/J DEFGRID3
* xyz -1 1
O 0.36705 -1.27577 1.50115
H 0.91137 -0.48091 1.22762
O -0.99085 -0.22030 -0.72159
H 0.03963 -1.41357 0.65296
O 0.68773 1.06472 -0.18072
C -0.32065 0.80236 -0.86773
H -0.69427 1.52346 -1.61169
*
```

Lowest unoccupied orbital energy (eV): 4.733
Frontier orbital gap (eV): 9.05

=====

The data favor version ii; the next most stable structure lies 0.0141 hartree above it.

=====

Version i
The following is a quantum chemistry calculation of a 7-piece molecular cluster, C3H20O8 overall, from the OMol25 dataset.

The geometry in ORCA input format:
```
! RIJCOSX wB97M-V def2-TZVPD def2/J DEFGRID3
* xyz 0 1
H 2.04112 0.48293 1.66873
O 1.78849 1.32268 -0.33129
H 0.03411 0.57449 0.48999
C -0.48841 1.79709 -1.21847
C 0.40992 1.46128 0.00031
O -0.47212 -1.36433 2.80455
H -1.47305 1.50728 -0.82663
H 1.60672 -1.76717 -0.96424
H -1.89862 2.06047 1.42055
H 1.80435 -1.20017 -2.34686
H 2.14544 0.56747 -0.86901
H 1.94003 -0.60016 0.86366
H 0.22758 -0.81611 2.37054
H 1.38066 1.75067 -2.91309
O 0.95343 0.89850 -3.03242
O 1.71385 -0.43073 1.79437
H -3.06522 -2.13724 1.08436
H -0.25730 2.70389 -1.76619
H -0.32155 -0.24191 -2.00219
C -0.28853 0.80715 -2.36968
O 2.13511 -1.10904 -1.44471
O -2.43050 -1.46513 0.83971
H -0.79652 -0.90832 3.58486
O -1.90723 1.17814 1.80954
H 0.02950 -1.79616 0.35132
H -0.02522 -3.15592 0.75529
H -1.12252 0.91169 -3.06528
O -0.12436 -2.65602 -0.07007
H 0.56613 2.26065 0.71894
H -1.75202 -1.26716 1.51762
H -2.35325 0.63117 1.14578
*
```

SMILES string: OCCCO.O.O.O.O.O.O
Lowest unoccupied orbital energy (eV): 0.495
Frontier orbital gap (eV): 10.51

=====

Version ii
The following is a quantum chemistry calculation of a 8-piece molecular cluster, C3H20O8 overall, from the OMol25 dataset.

The geometry in ORCA input format:
```
! RIJCOSX wB97M-V def2-TZVPD def2/J DEFGRID3
* xyz 0 1
H -1.48442 2.00535 -2.00019
O -1.15567 1.21827 -0.34343
C 0.80876 0.31463 -1.36171
H 1.19896 1.29093 -1.09736
H -0.36677 1.73911 1.33813
H 3.23942 1.22074 1.53959
H -0.32833 -0.61858 0.18604
H -0.51239 -3.12916 1.92644
H -0.99398 2.51873 -3.38215
H 0.86746 1.47187 2.19871
H -1.14810 -0.58234 -1.39719
O 2.43564 -1.79060 1.12868
O -0.07382 1.72679 2.26153
O 2.48314 0.83819 1.99159
H -1.34253 -0.26722 4.11416
H -2.03822 1.02142 -0.03584
~~~

Wrap the base of the cone in aluminum foil

When you think of ice cream, you're probably not thinking of aluminum foil– unless, of course, it's a Klondike bar wrapped in its silvery packaging. But tinfoil can actually help to keep ice cream on your cone, rather than staining your hands or your clothes. But what exactly makes something like aluminum foil, the stuff you wrap your leftovers in, so good for serving alongside ice cream cones?

~~~
Record 1
C17H19F6MgNO4PS2Te | ωB97M-V/def2-TZVPD

The geometry in XYZ format:
```
52
C17H19F6MgNO4PS2Te ωB97M-V/def2-TZVPD
Te -1.584 -3.302 -0.974
S 2.643 -2.617 0.497
S 0.519 -3.111 2.134
P -0.493 0.858 -0.418
Mg 0.188 -1.484 0.104
F 1.054 -2.348 4.544
F 1.097 -4.501 4.267
F 4.256 -0.545 1.060
F 2.788 -0.177 -0.487
F 2.168 -0.282 1.584
F -0.798 -3.459 4.323
O -0.088 -4.226 1.485
O 1.587 -2.577 -0.528
O -0.199 -1.839 1.937
O 3.868 -3.233 0.175
N 2.061 -2.964 1.905
C -3.472 -2.681 -0.140
C -0.123 2.392 3.322
C 3.030 -0.788 0.685
C -0.562 1.699 2.206
C 0.964 1.596 -4.149
C -2.309 1.113 -0.430
C -2.089 -2.673 -2.979
C 1.584 3.443 1.995
C 0.123 3.683 -3.296
C 0.712 2.949 -4.318
C 1.145 2.757 0.872
C -0.220 3.064 -2.106
C 0.623 0.972 -2.958
C 0.027 1.703 -1.933
C 0.950 3.266 3.215
C 0.472 -3.387 3.961
C 0.058 1.893 0.970
H 0.820 -0.085 -2.815
H 1.294 3.808 4.085
H -2.438 -1.645 -3.012
H 0.979 3.436 -5.247
H -0.673 3.638 -1.307
H -0.075 4.738 -3.425
H -3.395 -2.750 0.943
H -4.250 -3.351 -0.492
H -2.768 0.653 0.444
H -1.182 -2.767 -3.574
H 1.424 1.024 -4.945
H 2.423 4.122 1.914
H -2.527 2.180 -0.432
H -0.620 2.252 4.273
H -2.844 -3.342 -3.381
H -1.382 0.996 2.295
H -3.687 -1.659 -0.439
H 1.646 2.894 -0.079
H -2.723 0.663 -1.333
```

## Properties
**Total charge**: +1
**Molecular weight**: 662.343 u
**HOMO-LUMO gap**: 9.44 eV
**Relative energy (zero: lowest compared OMol25 entry of this formula, charge and spin)**: 9.2 kcal per mole


Record 2
C17H19FINO3PS | ωB97M-V/def2-TZVPD

The geometry in XYZ format:
```
44
C17H19FINO3PS ωB97M-V/def2-TZVPD
I 2.399 3.923 -2.309
S 4.213 0.656 3.555
P 4.297 -0.029 1.735
F -0.625 -3.208 1.961
O 5.821 0.566 1.217
O 4.681 -1.693 1.664
O -4.528 -0.853 -0.299
N 3.014 1.634 -0.153
C 5.146 3.222 0.077
C 2.863 0.481 0.657
C 2.022 2.148 -1.086
C 0.711 1.480 -1.285
C 4.180 2.503 -0.165
C -1.277 -1.630 0.188
C 1.934 -2.086 2.574
C -3.685 -1.801 -0.976
C -0.946 -0.420 -0.630
C -0.411 1.982 -2.285
C 1.119 -1.416 1.420
C -0.233 -2.080 1.206
C 0.395 0.243 -0.440
C -4.290 0.512 -0.698
C -5.714 1.241 -0.900
C -2.634 -2.423 0.046
C 1.491 -0.222 0.549
H 5.957 3.943 0.385
H -4.371 -2.666 -1.289
H 1.248 -2.680 3.276
H 6.046 0.160 0.347
H -6.357 1.206 0.029
H 4.498 -2.003 0.742
H -0.313 3.063 -2.590
H -3.743 0.638 -1.682
H -5.543 2.336 -1.194
H -1.719 -0.084 -1.381
H -3.209 -1.426 -1.932
H 2.590 -2.895 2.096
H 2.504 -1.395 3.258
H -3.796 1.068 0.174
H -2.447 -3.533 -0.167
H -6.287 0.793 -1.784
H -1.454 1.886 -1.820
H -3.123 -2.400 1.083
H -0.424 1.259 -3.174
```

## Properties
**Total charge**: +1
**Molecular weight**: 494.286 u
**HOMO-LUMO gap**: 6.36 eV
**Structure (SMILES)**: C#C[n+]1c(I)c(C)c2cc(CCOCC)c(F)c(C)c2c1P(O)(O)=S


Record 3
C17H19FN4O | ωB97M-V/def2-TZVPD

The geometry in XYZ format:
```
42
C17H19FN4O ωB97M-V/def2-TZVPD
F 5.472 0.520 1.082
O 1.134 2.572 -1.914
N -1.607 -0.855 2.285
N 0.411 0.848 -0.653
N -5.185 -1.610 0.425
N -3.524 -1.034 -0.912
C -0.660 -1.216 0.039
C 3.469 0.975 -0.066
C 4.661 0.062 -2.406
~~~
**Back to the text**

According to Reader's Digest, this trick simply requires you to wrap a piece of tin foil around the base of an ice cream cone before serving it. The foil will "catch" any wayward drips of ice cream, similar to how wrapping a napkin or a paper towel around the cone helps to absorb ice cream as it melts.

Another added bonus, Everyday Koala explains, is that aluminum foil won't "stick" to the cone. Unlike napkins, which could get sticky from the ice cream and become stuck to the cone, thus leaving pieces of paper across the surface of the cone, tinfoil is nonstick and can easily be disposed of without a problem.

While tinfoil is perfect for ensuring a mess-free ice cream treat, you can actually use foil to "bake" another ice cream cone-based confection — one that's a combination of s'mores and ice cream.

What are campfire cones?

Ice cream cones and heat aren't exactly two things that you would think go well together, considering that a cone full of ice cream over a roaring campfire will make a mess that not even tinfoil could clean up. But these so-called "campfire cones" are less of ice cream and more of a combination of s'mores and candy stuffed into a waffle cone.

According to POPSUGAR., campfire cones require only a few basic ingredients — ice cream cones, aluminum foil, and your choice of s'mores toppings like graham cracker squares, chocolate chips, and miniature marshmallows. Stuff the cone with the s'mores toppings and then lay it on a square of foil, wrapping the cone within the foil and leaving a pocket of air before the top of the cone. Place the foil-wrapped cones in the oven for five minutes at 400 degrees Fahrenheit until the chocolate and marshmallow in the cones have fully melted.

(Data records, kept here for reference)
# CH3IO2S

A cluster of 2 separate species, CH3IO2S in total (wB97M-V/def2-TZVPD, the Open Molecules 2025 dataset).

Results
Kohn-Sham gap   8.4 eV
Total charge   0
E_HOMO   -9.7 eV
E   -886.1749 a.u.
Energy above the lowest of the compared OMol25 structures with the same formula, charge and spin   142.37 kJ/mol

```
8
Properties=species:S:1:pos:R:3:forces:R:3:mulliken_charge:R:1
C -1.444 0.052 -0.140 -2.0 -0.5 0.0 -0.007
O -1.344 0.981 -0.889 -0.8 -0.3 0.3 -0.372
O 0.765 1.515 0.185 0.1 0.2 0.6 -0.397
S 2.140 1.668 -0.256 -0.1 -1.0 -1.6 0.215
I 3.374 -0.487 0.166 -0.1 0.5 0.0 -0.026
H 2.773 2.294 0.704 0.9 0.5 1.3 0.201
H -0.783 -0.812 -0.198 0.6 -0.2 0.2 0.196
H -2.353 -0.140 0.578 1.3 0.8 -0.8 0.191
```
Forces are in eV/Å.


# C6H6Cl2O4RhRu

A structure of composition C6H6Cl2O4RhRu (wB97M-V/def2-TZVPD, the Open Molecules 2025 dataset).

Results
<S²>   24.79
Kohn-Sham gap (alpha / beta)   5.6 / 5.2 eV
Total charge   +4
2S+1   10
E_HOMO (alpha / beta)   -22.2 / -26.9 eV
E   -1656.6233 a.u.
Energy above the lowest of the compared OMol25 structures with the same formula, charge and spin   20.21 kJ/mol

```
20
Properties=species:S:1:pos:R:3:forces:R:3:lowdin_spin:R:1
Ru -0.410 -0.374 -2.641 -3.1 1.5 5.8 2.134
Rh -0.236 0.354 0.099 -2.9 -2.9 -1.2 2.354
Cl -1.507 -1.514 -0.759 0.5 -0.3 -1.0 0.499
Cl -1.254 1.630 -1.527 -0.5 0.2 -1.3 0.521
C 0.890 1.722 0.551 7.6 8.9 2.6 0.105
C -0.052 -1.919 -3.568 2.2 -9.2 -6.1 0.018
C 0.102 0.622 -4.098 3.1 5.4 -9.3 0.021
O 1.549 2.657 0.788 -3.5 -4.8 -1.2 0.051
O 0.174 -2.890 -4.184 -1.3 5.4 3.6 0.113
O 0.417 1.217 -5.058 -1.8 -3.3 5.6 0.087
C -1.040 0.586 3.719 0.9 0.2 -1.2 0.415
C -0.017 -0.330 3.119 0.5 0.7 2.4 0.773
C 1.101 -0.796 4.011 0.1 0.6 -1.5 0.471
O -0.041 -0.756 1.935 -1.0 -2.0 -2.5 0.996
H -0.953 0.610 4.810 -0.5 0.3 1.3 0.072
H -2.066 0.286 3.473 -0.6 -1.0 0.6 0.072
H -0.837 1.607 3.371 0.4 0.4 0.5 0.060
H 1.293 -1.864 3.872 -1.0 -1.2 0.6 0.075
H 2.003 -0.244 3.715 0.3 1.2 0.6 0.078
H 0.890 -0.593 5.062 0.6 -0.1 1.7 0.085
```
Forces are in eV/Å.


# C5H14N2

An isolated molecule of C5H14N2 (wB97M-V/def2-TZVPD, the Open Molecules 2025 dataset).

Results
Kohn-Sham gap   9.3 eV
Total charge   0
Structure (SMILES)   CNCCCCN
E_HOMO   -8.2 eV
E   -308.3235 a.u.
Energy above the lowest of the compared OMol25 structures with the same formula, charge and spin   261.47 kJ/mol

```
21
Properties=species:S:1:pos:R:3:forces:R:3:mulliken_charge:R:1
C 0.903 -0.242 -1.712 -0.6 1.2 -1.3 -0.643
N 0.443 1.220 -1.870 -1.3 -1.9 -1.9 -0.378
C -0.857 1.719 -1.355 1.8 0.1 0.7 -0.704
C 0.871 -0.537 -0.254 3.5 0.6 3.1 -0.118
C -0.389 -1.087 0.364 -1.7 -0.4 0.7 -0.355
C -0.371 -1.249 1.906 -4.8 0.5 -0.7 -0.805
N -0.511 -0.014 2.667 2.4 3.7 -1.7 -0.588
H 1.927 -0.419 -2.247 -1.8 0.7 1.2 0.259
H 0.195 -0.997 -2.184 0.5 1.3 0.0 0.260
H 1.135 1.911 -1.784 1.2 0.3 0.2 0.234
H -1.504 0.888 -1.259 -0.9 -0.7 -0.2 0.243
H -1.341 2.504 -1.997 0.7 -0.6 0.7 0.271
H -0.657 2.043 -0.297 -0.8 0.3 -0.8 0.242

Center Cut Cook also tells us that campfire cones are incredibly versatile, and can be made using either your oven, your grill, or, as the name suggests, a campfire. You could also add or omit your own choice of toppings, such as peanut butter, sliced strawberries, or other types of candies.